Entries >
-- begin --
# Dy10Ti6O27
Computed PXRD pattern, Cu Ka. Input: the PBE geometry in the Materials Project.

Main lines, in order of rising 2θ (2θ = 5–70°):
(hkl), 2θ/deg, d/Å, Rel. int.
4 0 0, 29.5, 3.028, 53.2
2 2 -2, 29.9, 2.990, 100.0
0 0 4, 30.5, 2.936, 46.5
4 0 -4, 34.2, 2.621, 20.9
2 2 2, 34.9, 2.568, 43.7
6 2 -2, 49.1, 1.856, 28.0
0 4 0, 50.1, 1.820, 17.9
2 2 -6, 50.3, 1.813, 38.2

Structure:
Lattice parameters (Å, degrees): 12.950 7.278 12.553 90.00 110.71 90.00
Space group Cm (No. 8)
Unique sites:
1 Dy 0.000 0.000 0.000 [2 per cell]
2 Dy 0.004 0.000 0.507 [2 per cell]
3 Dy 0.009 0.246 0.772 [4 per cell]
4 Dy 0.229 0.000 0.269 [2 per cell]
5 Dy 0.233 0.500 0.735 [2 per cell]
6 Dy 0.241 0.500 0.228 [2 per cell]
7 Dy 0.465 0.000 0.513 [2 per cell]
8 Dy 0.488 0.254 0.250 [4 per cell]
9 Ti 0.232 0.000 0.746 [2 per cell]
10 Ti 0.242 0.263 0.499 [4 per cell]
11 Ti 0.247 0.244 0.009 [4 per cell]
12 Ti 0.485 0.000 0.997 [2 per cell]
13 O 0.039 0.279 0.438 [4 per cell]
14 O 0.043 0.500 0.161 [2 per cell]
15 O 0.048 0.500 0.692 [2 per cell]
16 O 0.054 0.000 0.188 [2 per cell]
17 O 0.065 0.299 0.965 [4 per cell]
18 O 0.071 0.000 0.707 [2 per cell]
19 O 0.181 0.000 0.004 [2 per cell]
20 O 0.194 0.288 0.339 [4 per cell]
21 O 0.203 0.254 0.843 [4 per cell]
22 O 0.221 0.500 0.551 [2 per cell]
23 O 0.222 0.182 0.640 [4 per cell]
24 O 0.251 0.500 0.046 [2 per cell]
25 O 0.273 0.000 0.462 [2 per cell]
26 O 0.301 0.209 0.186 [4 per cell]
27 O 0.390 0.000 0.829 [2 per cell]
28 O 0.395 0.232 0.026 [4 per cell]
29 O 0.396 0.286 0.561 [4 per cell]
30 O 0.416 0.500 0.813 [2 per cell]
31 O 0.420 0.500 0.316 [2 per cell]

* * * * *

(1)
Structure and calculated PXRD pattern of SrLi2PaS4 (a DFT-relaxed cell (PBE, Alexandria); copper Kα).

The 10 most intense peaks (2θ = 10–90°), sorted by position:
17.53 deg, rel. 100; 27.12 deg, rel. 21; 27.69 deg, rel. 25; 30.25 deg, rel. 23; 31.98 deg, rel. 41; 36.70 deg, rel. 33; 41.47 deg, rel. 15; 42.81 deg, rel. 16; 44.60 deg, rel. 30; 55.93 deg, rel. 15

Cell and atoms:
```
SrLi2PaS4
1.0
-2.798 2.798 5.909
2.798 -2.798 5.909
2.798 2.798 -5.909
Sr Li Pa S
1 2 1 4
Cartesian
0.000 0.000 0.000
0.000 0.000 5.909
0.000 2.798 2.955
2.798 0.000 2.955
2.798 0.000 0.290
0.000 0.000 3.014
2.798 0.000 5.619
0.000 0.000 8.805
```

***

(2)
Structure and calculated PXRD pattern of LiTbPaS4 (a DFT-relaxed cell (PBE, Alexandria); copper Kα).

The 10 most intense peaks (2θ = 10–90°), sorted by position:
13.52 deg, rel. 50; 13.63 deg, rel. 100; 26.09 deg, rel. 53; 26.22 deg, rel. 41; 27.24 deg, rel. 23; 27.46 deg, rel. 22; 31.68 deg, rel. 99; 41.66 deg, rel. 20; 45.42 deg, rel. 49; 75.24 deg, rel. 21

Cell and atoms:
```
LiTbPaS4
1.0
-3.969 4.018 5.650
3.969 -4.018 5.650
3.969 4.018 -5.650
Li Tb Pa S
2 2 2 8
Cartesian
0.000 2.009 1.492
3.969 2.009 4.158
1.984 2.009 -2.825
1.984 -2.009 2.825
3.969 0.000 0.000
0.000 0.000 5.650
3.969 -0.095 2.705
2.106 2.009 -0.062
5.832 2.009 -0.062
3.969 3.922 -2.705
0.000 0.095 8.355
-1.863 2.009 5.711
1.863 2.009 5.711
0.000 4.113 2.944
```

***

(3)
Structure and calculated PXRD pattern of LiPaTiS4 (a DFT-relaxed cell (PBE, Alexandria); copper Kα).

The 10 most intense peaks (2θ = 10–90°), sorted by position:
14.93 deg, rel. 100; 17.03 deg, rel. 23; 26.62 deg, rel. 54; 28.54 deg, rel. 26; 33.22 deg, rel. 48; 34.46 deg, rel. 22; 36.26 deg, rel. 24; 37.56 deg, rel. 15; 44.65 deg, rel. 25; 48.61 deg, rel. 33

Cell and atoms:
```
LiPaTiS4
1.0
-3.610 4.057 5.206
3.610 -4.057 5.206
3.610 4.057 -5.206
Li Pa Ti S
2 2 2 8
Cartesian
0.000 2.029 1.541
3.610 2.029 3.665
3.610 0.000 0.000
0.000 0.000 5.206
1.805 2.029 -2.603
1.805 -2.029 2.603
3.610 3.798 -2.653
3.610 -0.259 2.653
1.836 2.029 -0.076
5.384 2.029 -0.076
-1.774 2.029 5.281
1.774 2.029 5.281
0.000 4.317 2.552
0.000 0.259 7.859
```

***

(4)
Structure and calculated PXRD pattern of LiTmPaS4 (a DFT-relaxed cell (PBE, Alexandria); copper Kα).

The 10 most intense peaks (2θ = 10–90°), sorted by position:
-- stop --

To do >
Your job: find "0.004 0.000" and "0.048 0.500" in the lines further above, and print these two lines and those between.

Done >
2 Dy 0.004 0.000 0.507 [2 per cell]
3 Dy 0.009 0.246 0.772 [4 per cell]
4 Dy 0.229 0.000 0.269 [2 per cell]
5 Dy 0.233 0.500 0.735 [2 per cell]
6 Dy 0.241 0.500 0.228 [2 per cell]
7 Dy 0.465 0.000 0.513 [2 per cell]
8 Dy 0.488 0.254 0.250 [4 per cell]
9 Ti 0.232 0.000 0.746 [2 per cell]
10 Ti 0.242 0.263 0.499 [4 per cell]
11 Ti 0.247 0.244 0.009 [4 per cell]
12 Ti 0.485 0.000 0.997 [2 per cell]
13 O 0.039 0.279 0.438 [4 per cell]
14 O 0.043 0.500 0.161 [2 per cell]
15 O 0.048 0.500 0.692 [2 per cell]